Excerpt =
~~~
Computed X-ray powder pattern of TaTiN2 for copper Kα, from a structure optimized by DFT (PBE).
No peak broadening, texture or thermal motion is included.

Atomic structure:
```
TaTiN2
1.0
3.0771 0.0000 0.0000
0.0000 3.0771 0.0000
0.0000 0.0000 4.3343
Ta Ti N
1 1 2
Direct
0.0000 0.0000 0.0000 Ta
0.5000 0.5000 0.5000 Ti
0.0000 0.0000 0.5000 N
0.5000 0.5000 0.0000 N
```

Top 10 peaks for 15 to 90 degrees two-theta, in order of rising 2θ:
2θ 20.5, I 42; 2θ 29.0, I 37; 2θ 35.8, I 100; 2θ 41.5, I 53; 2θ 41.7, I 26; 2θ 46.7, I 21; 2θ 60.1, I 17; 2θ 60.3, I 33; 2θ 72.0, I 27; 2θ 75.8, I 17

***

Computed X-ray powder pattern of TaV3N4 for copper Kα, from a structure optimized by DFT (PBE).
No peak broadening, texture or thermal motion is included.

Atomic structure:
```
TaV3N4
1.0
4.2202 0.0000 0.0000
0.0000 4.2202 0.0000
0.0000 0.0000 4.2202
Ta V N
1 3 4
Direct
0.0000 0.0000 0.0000 Ta
0.0000 0.5000 0.5000 V
0.5000 0.0000 0.5000 V
0.5000 0.5000 0.0000 V
0.0000 0.0000 0.5000 N
0.0000 0.5000 0.0000 N
0.5000 0.0000 0.0000 N
0.5000 0.5000 0.5000 N
```

Top 10 peaks for 15 to 90 degrees two-theta, in order of rising 2θ:
2θ 21.1, I 65; 2θ 29.9, I 56; 2θ 36.9, I 100; 2θ 42.9, I 92; 2θ 48.2, I 32; 2θ 53.2, I 24; 2θ 62.2, I 56; 2θ 66.5, I 16; 2θ 74.6, I 39; 2θ 78.5, I 18

***

Computed X-ray powder pattern of ZrTa2N3 for copper Kα, from a structure optimized by DFT (PBE).
No peak broadening, texture or thermal motion is included.

Atomic structure:
```
ZrTa2N3
1.0
5.2828 0.0000 0.0000
-2.6414 4.5750 0.0000
0.0000 0.0000 2.9844
Zr Ta N
1 2 3
Direct
0.0000 0.0000 0.0000 Zr
0.3333 0.6667 0.5000 Ta
0.6667 0.3333 0.5000 Ta
0.0000 0.5000 0.0000 N
0.5000 0.0000 0.0000 N
0.5000 0.5000 0.0000 N
```

Top 10 peaks for 15 to 90 degrees two-theta, in order of rising 2θ:
2θ 19.4, I 20; 2θ 29.9, I 12; 2θ 33.9, I 100; 2θ 35.9, I 60; 2θ 45.9, I 35; 2θ 50.3, I 32; 2θ 60.7, I 19; 2θ 62.0, I 25; 2θ 71.4, I 14; 2θ 72.8, I 22

***

Computed X-ray powder pattern of TcN2 for copper Kα, from a structure optimized by DFT (PBE).
No peak broadening, texture or thermal motion is included.

Atomic structure:
```
TcN2
1.0
0.0000 2.4445 2.4445
2.4445 0.0000 2.4445
2.4445 2.4445 0.0000
Tc N
1 2
Direct
0.0000 0.0000 0.0000 Tc
0.2500 0.2500 0.2500 N
0.7500 0.7500 0.7500 N
```

Top 8 peaks for 15 to 90 degrees two-theta, in order of rising 2θ:
2θ 31.7, I 100; 2θ 36.8, I 27; 2θ 53.0, I 51; 2θ 63.1, I 40; 2θ 66.2, I 7; 2θ 78.2, I 7; 2θ 86.8, I 16; 2θ 89.7, I 10

***

Computed X-ray powder pattern of Tc3N for copper Kα, from a structure optimized by DFT (PBE).
No peak broadening, texture or thermal motion is included.

Atomic structure:
```
Tc3N
1.0
2.8206 0.0000 0.0000
-1.4103 2.4427 0.0000
0.0000 0.0000 7.0992
Tc N
3 1
Direct
0.0000 0.0000 0.0000 Tc
0.6667 0.3333 0.3037 Tc
0.6667 0.3333 0.6963 Tc
0.0000 0.0000 0.5000 N
```

Top 10 peaks for 15 to 90 degrees two-theta, in order of rising 2θ:
2θ 36.8, I 50; 2θ 38.0, I 33; 2θ 39.0, I 49; 2θ 45.1, I 100; 2θ 53.9, I 23; 2θ 66.3, I 27; 2θ 77.8, I 23; 2θ 79.0, I 23; 2θ 79.7, I 6; 2θ 83.8, I 16

***

Computed X-ray powder pattern of YTcN3 for copper Kα, from a structure optimized by DFT (PBE).
No peak broadening, texture or thermal motion is included.

Atomic structure:
```
YTcN3
1.0
4.0664 0.0000 0.0000
0.0000 1.9978 3.6922
0.0000 -1.9978 3.6922
Y Tc N
1 1 3
Direct
0.0000 0.0000 0.0000 Y
0.5000 0.6945 0.6945 Tc
0.0000 0.6793 0.6793 N
0.5000 0.2463 0.5803 N
0.5000 0.5803 0.2463 N
```

Top 10 peaks for 15 to 90 degrees two-theta, in order of rising 2θ:
2θ 25.3, I 54; 2θ 32.8, I 53; 2θ 33.7, I 100; 2θ 43.2, I 44; 2θ 44.6, I 26; 2θ 45.4, I 17; 2θ 52.0, I 19; 2θ 57.1, I 30; 2θ 63.8, I 26; 2θ 72.0, I 18

----------

Simulated PXRD pattern of RbPrSiTe4 for Cu Kα, from the PBE geometry in Alexandria.

Peak list (6 most intense, 10° ≤ 2θ ≤ 90°, in order of rising 2θ)
d (Å)	two_theta	intensity
3.483	25.6	693
3.367	26.5	748
3.334	26.7	1000
3.165	28.2	951
2.984	29.9	640
2.959	30.2	778

Crystal structure
a = 7.3254 Å, b = 7.5977 Å, c = 10.1599 Å
~~~

Wanted =
What is needed: return every line above that contains the word "Atomic".

Reply =
Atomic structure:
Atomic structure:
Atomic structure:
Atomic structure:
Atomic structure:
Atomic structure: